The space between the last time I wrote like this and today is big. The distance between that girl and the one typing now, vast. I wanted to write what I was taking in to 2025, but I swiftly found that I could not do it without a review of sorts of 2024. My dear friend Christine conducts an annual review this time every year to coincide with her birthday. I try not to look backward for fear of pangs of nostalgia, or freaking out at opportunities missed, stupid boys kissed etc. Try as I might to live by the words of St Ian of Brown; ‘It’s not where you’re from, it’s where you’re at’ (I have probably omitted an ‘ar kid’), a little retrospective cements the learning, so here we are.

With a birthday thrown in around the turning of another Gregorian year, and the amplified emotion that comes with Christmas, it is a safe bet that sometime between November and January I will inevitably have an ‘oh-my-god-what-the-hell-am-I-doing’ meltdown. The length and the intensity of which will vary - this year I bask in Capricorn efficiency that I have already done it, actioned the epiphany and it only lasted a week (flicks hair and brushes shoulders).
### The article is interrupted by records of crystals
........
(1)
Starting from the GGA-PBE geometry in OQMD, the powder X-ray diffraction pattern of Pr3Co2B2As3 was computed for Cu Kα (weighted mean of Kα1 and Kα2).
Kinematic intensities with the Lorentz-polarization factor, no thermal factor.

Structural model:
a b c (Å): 4.083 4.083 22.794
angles (deg): 90.00 90.00 90.00
Space group I4/mmm (No. 139)
One atom of each set of equivalent atoms:
1 Pr 0.000 0.000 0.000 (multiplicity 2)
2 Pr 0.000 0.000 0.357 (multiplicity 4)
3 Co 0.000 0.500 0.250 (multiplicity 4)
4 B 0.000 0.000 0.221 (multiplicity 4)
5 As 0.000 0.000 0.128 (multiplicity 4)
6 As 0.000 0.000 0.500 (multiplicity 2)

Principal peaks in the range 10 to 90 degrees two-theta, by intensity:
Position (°2θ)  d/Å  I/Imax
30.98  2.887  100.0
39.19  2.299  99.2
44.37  2.041  77.4
31.40  2.849  72.8
55.36  1.659  56.7
34.84  2.575  44.5
44.69  2.028  43.7
24.76  3.596  43.5
31.98  2.799  40.8
65.86  1.418  34.2

---

(2)
Starting from the GGA-PBE geometry in OQMD, the powder X-ray diffraction pattern of SmDyB2As2Ir2 was computed for Cu Kα (weighted mean of Kα1 and Kα2).
Kinematic intensities with the Lorentz-polarization factor, no thermal factor.

Structural model:
a b c (Å): 3.991 3.991 8.654
angles (deg): 90.00 90.00 90.00
Space group P4mm (No. 99)
One atom of each set of equivalent atoms:
1 Sm 0.000 0.000 0.000 (multiplicity 1)
2 Dy 0.500 0.500 0.581 (multiplicity 1)
3 B 0.000 0.000 0.395 (multiplicity 1)
4 B 0.500 0.500 0.183 (multiplicity 1)
5 As 0.000 0.000 0.643 (multiplicity 1)
6 As 0.500 0.500 0.932 (multiplicity 1)
7 Ir 0.000 0.500 0.291 (multiplicity 2)

Principal peaks in the range 10 to 90 degrees two-theta, by intensity:
Position (°2θ)  d/Å  I/Imax
38.07  2.364  100.0
33.40  2.683  88.3
10.22  8.654  56.8
31.00  2.885  49.0
45.46  1.995  47.8
56.04  1.641  37.2
79.04  1.211  24.4
63.01  1.475  21.7
38.51  2.338  18.8
24.56  3.624  18.2

---

(3)
Starting from the GGA-PBE geometry in OQMD, the powder X-ray diffraction pattern of TbDyNi2B2As2 was computed for Cu Kα (weighted mean of Kα1 and Kα2).
Kinematic intensities with the Lorentz-polarization factor, no thermal factor.

Structural model:
a b c (Å): 3.947 3.947 8.145
angles (deg): 90.00 90.00 90.00
Space group P4mm (No. 99)
One atom of each set of equivalent atoms:
1 Tb 0.000 0.000 0.000 (multiplicity 1)
2 Dy 0.500 0.500 0.451 (multiplicity 1)
3 Ni 0.000 0.500 0.725 (multiplicity 2)
4 B 0.000 0.000 0.639 (multiplicity 1)
5 B 0.500 0.500 0.813 (multiplicity 1)
6 As 0.000 0.000 0.380 (multiplicity 1)
7 As 0.500 0.500 0.072 (multiplicity 1)

Principal peaks in the range 10 to 90 degrees two-theta, by intensity:
Position (°2θ)  d/Å  I/Imax
39.13  2.302  100.0
45.98  1.974  51.6
32.07  2.791  47.5
40.32  2.237  45.1
25.07  3.552  42.6
33.95  2.640  41.0
32.99  2.715  30.5
62.79  1.480  24.2
80.48  1.193  23.8
57.75  1.596  23.7

---

(4)
Starting from the GGA-PBE geometry in OQMD, the powder X-ray diffraction pattern of FeB4As was computed for Cu Kα (weighted mean of Kα1 and Kα2).
........
These dark nights of the soul, or ‘energetic deaths’ as we in the wonderful world of wellness have come to know them, although wildly inconvenient and painful, provide the most fertile ground for growth. The soil must be turned and tilled for those after an earth metaphor. For those more akin to the fire, if all that is left are the smallest embers, well, they are often the hottest.
In my experience, these moments set the tone for my year, especially if perhaps the claret has clouded my clarity. With my initial goal of 2024 being to make it to lunchtime without crying or smoking, I eventually chose to embrace space. Try as I might, I could not schedule my way out of a crisis (the most Capricorn of knee-jerk reactions, for I am a woman of my people), so I took the absolutely wild decision to ‘see what comes through’. As a now-recovering control freak (in addition to recovering people pleaser, quite the rehab centre), this really was a big deal. I named it my R&D, or ‘Fuck About And Find Out’ year. With the permission of my psychic (stop it) to go have some fun, onward to glory I went.
I tried to create a top 5 list of learnings but there appear to be two that encompass everything and in the interest of simplicity, I shall stick with them.
I am home. Here. In my body and in Manchester. For what feels like my entire life I have always had my eye on being ‘somewhere else’, wherever that was. Laced with undertones of a life of inadequacy, I realised, finally, that I am enough. That my life is wonderful. What I have built is wonderful. My friends, my family, my experiences, the dizzying highs and crippling lows - it is all enough and wonderful. My friend and teacher Mark England describes not wanting to be confident but rather comfortable. And I feel this. A life that feels as easy to be in as throwing on my most comfortable joggers. Of course, at some point I will outgrow this pair and things will feel tight and sticky again. But I am better resourced now to get new joggers, ones that look nice, and not too expensive (free class for the first person to recognise that quote).
Follow the whole body Yes. While I would not define myself as either a procrastinator or an indecisive person, I can question myself when it comes to things I want. Perhaps a combined working class hangover and the societal conditioning of being a woman lead to ‘do I deserve it, can I afford it, and if I do not get a certificate at the end then is it a worthy pursuit?’. But the most fun, most rewarding, most joyous experiences in 2024 came from responding to the full body tingle of a Yes. India (now twice), America, investing in a mentor, San Juan with Lucy, a recent date I went on - all majestic experiences coming from my cells saying YES. Do not talk yourself out of these feelings. Let your soul speak.
So, can I continue with feeling home and following the whole body yes in to the coming year? I can. I know what the opposite feels like, and I do not want it. The ability and courage (for it is courageous in the modern world to not hate yourself for the benefit of advertising and follow your heart) to do this comes from the fact that I have built a life that takes care of me, no mean feat. So if I am off kilter, everything is off. No longer do I wince at ‘self-care’ as the preserve of nice girls who get facials and look good in a nude colour palate, I am a walking fucking billboard for the stuff. And while these principles may not map out my path exactly, they are solid tools with which to walk forward.
Let’s not forget, none of us really know what we are doing, so all we can do is our best.
So, dear reader, what are you taking forward?